Want a Higher Income? Find a Job that Fits Your Personality
Does the phrase “I earn a good salary, but I want to be in a job that I truly love” sound familiar? How about, “I work in a nice place, but the pay is really bad?” If you’ve ever felt unfulfilled or underpaid, take heart. Because as it turns out, experts say that your personality is the key to getting the career and the money you want.
We’ve known for a long time that finding a job that suits your unique combination of personality traits is key if you want to be happy, motivated, and satisfied with your work. Now, European researchers have discovered that people whose personality preferences align with the traits that are ideal for their jobs are also more likely to earn a higher salary than people who are not so perfectly matched.
This is the first study of its kind to show that finding a job that fits your personality can actually boost your income.
How personality fit boosts earnings
Researchers from a number of universities in Europe compared the personality profiles, jobs and annual salary of 8,458 people living in Germany. First, they asked each participant to complete a Big Five personality inventory, rating the degree to which they believed certain personality statements applied to them, for instance, “I see myself as someone who has a forgiving nature’’ or “I see myself as someone who does things efficiently.”
The Big Five inventory measures five broad traits which most researchers consider to be the core of an individual's personality. These traits are:
Openness: If you enjoy new experiences and like to learn new things, you probably will score high only on openness. A high score correlates with imagination, insightfulness and having a varied range of interests. A low openness score correlates with specific, straightforward thinking and pragmatism.
Conscientiousness: People who are reliable, hard working, diligent, organized and thorough will score high in conscientiousness. Low scorers will be more easy-going and prone to glossing over the details.
Extraversion: Extraverts get their energy from others while Introverts draw energy from within themselves. Extraversion is associated with expressiveness, social confidence and quick-wittedness.
Agreeableness: Agreeable individuals are cooperative, harmonious, friendly and compassionate. Low scorers tend to be more analytical and challenging.
Neuroticism: People who score highly in neuroticism have a high level of negative emotions such as anxiety and moodiness. Low scorers tend to be calm and emotionally stable.
These traits are often referred to by the acronym “OCEAN.” Each trait is measured independently on a scale from low to high, so you might score very high on Conscientiousness, medium on Openness and low on Extraversion, Agreeableness and Neuroticism, for example.
If your job and personality click, you'll get paid more
As well as measuring the participants’ personalities on the Big Five, the researchers also quantified how the participants’ jobs stacked up using the same Big Five personality inventory. For example, they found that a bookkeeping job required a very low level of Extraversion, whereas an actor/director job required a high level.
This allowed them to compare the “fit” between a given employee and a given job.
Finally, they compared how the degree of fit contributed to employee income. The results were convincing—the greater the match between an employee's personality and the ideal personality for the job, the more money that person earned. The researchers called this a "fit bonus."
A few conclusions stand out:
[Molecular data, kept here for reference]
........
[1]
C35H22FeN3S2 as an isolated structure, computed with ωB97M-V with the def2-TZVPD basis set.

```
63
Properties=species:S:1:pos:R:3:forces:R:3:nbo_charge:R:1
Fe -0.046 0.085 -0.224 -0.1 0.2 -0.2 1.182
S -3.601 -5.660 -2.116 0.0 -0.1 0.0 0.492
C -5.196 -5.673 -1.521 0.0 0.0 0.0 -0.366
C -5.469 -4.578 -0.758 0.1 0.0 0.0 -0.247
C -4.358 -3.707 -0.658 -0.1 -0.1 0.0 -0.193
C -3.262 -4.162 -1.346 0.1 0.1 0.0 -0.282
C -1.947 -3.529 -1.460 -0.1 0.0 0.1 -0.056
C -1.719 -2.275 -0.856 0.1 0.0 -0.1 0.128
N -0.551 -1.653 -0.924 -0.1 -0.3 0.1 -0.508
C 0.477 -2.241 -1.587 0.0 0.1 0.0 0.206
C 0.361 -3.470 -2.222 0.0 0.0 0.0 -0.072
C 1.526 -3.993 -2.892 -0.1 0.0 0.0 -0.162
C 2.697 -3.319 -2.891 0.1 0.1 0.0 -0.150
C 2.828 -2.048 -2.221 0.0 0.0 0.0 -0.058
C 4.004 -1.286 -2.144 0.0 -0.1 0.0 -0.081
C 4.035 -0.080 -1.460 0.0 0.1 0.1 -0.055
C 2.836 0.352 -0.857 0.0 -0.1 -0.1 0.129
N 1.712 -0.347 -0.925 0.4 0.0 0.1 -0.488
C 1.706 -1.533 -1.588 -0.1 0.0 0.0 0.126
C 5.241 0.740 -1.345 -0.2 -0.1 0.0 -0.282
C 5.396 1.918 -0.659 0.1 0.0 0.0 -0.193
C 6.707 2.443 -0.757 -0.1 0.0 0.0 -0.247
C 7.520 1.654 -1.514 0.0 0.0 0.0 -0.366
S 6.709 0.281 -2.111 0.1 0.0 0.0 0.492
C -0.888 -4.106 -2.143 0.1 -0.1 -0.1 -0.082
H -5.852 -6.493 -1.765 0.0 0.0 0.0 0.264
H -6.424 -4.401 -0.288 0.0 0.0 0.0 0.248
H -4.386 -2.789 -0.089 0.0 0.0 0.0 0.216
H -2.505 -1.767 -0.313 0.0 0.0 0.0 0.223
H 1.447 -4.948 -3.394 0.0 0.0 0.0 0.247
H 3.564 -3.729 -3.393 0.0 0.0 0.0 0.246
H 4.901 -1.661 -2.624 0.0 0.0 0.0 0.245
H 2.790 1.286 -0.314 0.0 0.0 0.0 0.223
H 4.615 2.405 -0.093 0.0 0.0 0.0 0.216
H 7.032 3.358 -0.287 0.0 0.0 0.0 0.248
H 8.560 1.810 -1.755 0.0 0.0 0.0 0.264
H -1.013 -5.069 -2.625 0.0 0.0 0.0 0.245
C 0.124 -0.207 3.928 0.0 -0.1 0.0 -0.165
C -0.548 0.953 4.281 0.0 0.0 0.0 -0.173
C -1.051 1.817 3.311 0.0 0.0 -0.1 -0.168
C -0.874 1.513 1.970 0.0 0.0 0.1 -0.060
C -0.190 0.336 1.642 0.1 -0.2 -0.4 -0.149
C 0.314 -0.534 2.581 -0.1 0.2 0.2 -0.222
C -1.336 2.308 0.819 0.1 -0.1 0.1 0.254
C -2.035 3.515 0.884 0.0 0.0 -0.1 -0.254
C -2.395 4.130 -0.287 0.0 0.0 0.0 -0.033
C -2.064 3.560 -1.535 -0.1 0.1 0.0 -0.139
C -2.416 4.164 -2.766 0.0 0.0 0.0 -0.130
C -2.072 3.571 -3.945 0.0 0.0 0.0 -0.194
C -1.362 2.350 -3.944 0.0 0.0 0.0 -0.134
C -1.008 1.742 -2.770 0.0 0.0 0.0 -0.263
C -1.357 2.341 -1.544 0.0 0.0 0.1 0.267
N -1.011 1.748 -0.354 -0.2 0.3 0.0 -0.566
H 0.507 -0.866 4.696 0.0 0.0 0.0 0.244
H -0.687 1.192 5.326 0.0 0.0 0.0 0.246
H -1.572 2.717 3.614 0.0 0.0 0.0 0.233
H 0.840 -1.440 2.306 0.0 0.0 0.0 0.236
H -2.282 3.948 1.842 0.0 0.0 0.0 0.249
H -2.936 5.068 -0.264 0.0 0.0 0.0 0.247
H -2.959 5.100 -2.752 0.0 0.0 0.0 0.239
H -2.340 4.030 -4.886 0.0 0.0 0.0 0.247
H -1.096 1.892 -4.887 0.0 0.0 0.0 0.239
H -0.462 0.804 -2.789 0.0 0.0 0.0 0.201
```
Positions in Å, forces in eV/Å.

M: 604.56 u
spin multiplicity: 2
HOMO energy (alpha / beta): -13.0 / -13.0 eV
net charge: +2
⟨S²⟩: 1.10

---

[2]
C11H16Cl2N7PdS5 as an isolated structure, computed with ωB97M-V with the def2-TZVPD basis set.

```
42
........
- Overall, people with personality traits that were stronger or weaker than their work required (a poor match) earned less than their peers.
- People with the best personality-job fit earned up to a month's salary more than their peers each year.
- The fit bonus predicted a substantially higher income for the traits of Extraversion, Openness, Conscientiousness and Agreeableness. The odd one out was Neuroticism, which did not appear to correlate with higher earnings.
No. 1
Here is C4H6O2 in the gas phase in a non-equilibrium geometry from the OMol25 dataset. Energies are from wB97M-V/def2-TZVPD.

The geometry in XYZ format:
```
12
Properties=species:S:1:pos:R:3
C 1.11 0.55 -0.21
C -0.48 0.04 -0.42
C -0.20 -1.43 -0.31
O -0.04 -2.16 -1.26
C -1.13 0.67 0.77
O -0.44 1.03 1.69
H 1.19 1.63 -0.38
H 1.54 0.42 0.81
H 1.74 -0.02 -0.88
H -1.11 0.16 -1.34
H 0.04 -1.73 0.72
H -2.22 0.85 0.82
```

* orbital gap: 10.5 eV
* HOMO energy: -10.026 eV
* E_LUMO: 0.427 eV
* relative energy (zero: lowest compared OMol25 entry of this formula, charge and spin): 44.3 kcal per mole
* calculated total energy: -306.4357 a.u.
* max |F|: 1.55 eV/A

***

No. 2
Here is 2 unconnected molecules or ions with the total composition C2H4NP in a non-equilibrium geometry from the OMol25 dataset. Energies are from wB97M-V/def2-TZVPD.

The geometry in XYZ format:
```
8
Properties=species:S:1:pos:R:3
C 0.81 0.23 0.45
C 1.46 -0.22 -0.55
N 0.10 0.20 1.46
P -3.23 -0.12 -0.13
H 0.93 -0.57 -1.44
H 2.62 0.05 -0.57
H -0.37 0.95 1.86
H -2.32 -0.51 -1.07
```

* orbital gap (spin up / spin down): 7.4 / 7.4 eV
* HOMO energy (spin up / spin down): -8.819 / -8.879 eV
* E_LUMO (spin up / spin down): -1.464 / -1.449 eV
* relative energy (zero: lowest compared OMol25 entry of this formula, charge and spin): 87.9 kcal per mole
* calculated total energy: -474.5337 a.u.
* max |F|: 4.69 eV/A

***

No. 3
Here is 12 unconnected molecules or ions with the total composition C28H86N14O12 in a non-equilibrium geometry from the OMol25 dataset. Energies are from wB97M-V/def2-TZVPD.

The geometry in XYZ format:
```
140
Properties=species:S:1:pos:R:3
C 32.20 16.63 -15.89
O 31.57 16.15 -17.06
C 30.34 16.77 -17.50
C 29.14 16.29 -16.65
C 28.98 14.81 -16.72
N 27.87 16.91 -16.98
H 33.15 16.15 -15.68
H 31.55 16.69 -15.02
H 32.53 17.65 -16.07
H 30.36 17.86 -17.45
H 30.13 16.63 -18.56
H 29.36 16.60 -15.63
H 28.80 14.47 -17.74
H 28.10 14.39 -16.23
H 29.87 14.37 -16.26
H 27.87 17.84 -16.57
H 27.05 16.56 -16.52
C 31.64 15.30 -11.76
O 32.62 14.41 -12.51
C 32.18 13.70 -13.64
C 33.41 13.12 -14.42
C 33.01 12.75 -15.90
N 34.23 12.14 -13.74
H 31.36 15.98 -12.56
H 32.17 15.77 -10.93
H 30.88 14.63 -11.36
H 31.54 12.88 -13.31
H 31.63 14.40 -14.26
H 34.08 13.98 -14.47
H 32.23 12.03 -16.11
H 33.86 12.46 -16.52
H 32.57 13.65 -16.34
H 35.15 12.00 -14.13
H 34.40 12.34 -12.77
C 33.98 7.81 -14.14
O 34.19 7.93 -15.52
C 33.74 9.15 -16.17
C 34.11 9.15 -17.71
C 33.11 8.25 -18.42
N 35.45 8.62 -17.85
H 34.45 8.65 -13.64
H 34.48 6.91 -13.78
H 32.92 7.69 -13.93
H 32.70 9.46 -16.04
H 34.32 9.98 -15.78
H 34.03 10.12 -18.19
H 33.42 7.20 -18.42
H 33.12 8.59 -19.46
H 32.06 8.33 -18.16
H 36.10 9.27 -17.42
H 35.53 7.94 -17.10
C 24.95 5.98 -16.03
O 25.56 6.57 -17.12
C 26.98 6.67 -17.08
C 27.41 6.93 -18.51
C 27.10 5.92 -19.63
N 28.85 7.13 -18.46
H 25.07 6.51 -15.08
H 25.27 4.97 -15.76
H 23.87 5.99 -16.13
H 27.30 7.37 -16.31
H 27.31 5.68 -16.75
H 26.99 7.89 -18.80
H 27.47 6.33 -20.57
H 26.06 5.63 -19.77
H 27.65 5.00 -19.51
So much for the molecular data =
- When an employee’s level of Openness matched the requirements of the job, the employee benefitted the most financially.
- Importantly, the researchers found that people who were more Agreeable, Open or Conscientiousness than their job needed them to be were actually paid less than people who had more congruent levels of these traits.
There's no one "best" personality for the workplace
Findings from previous research suggest that certain personality traits are markers of success in the workplace. Highly conscientious people, for example, have been shown to do very well in corporate America because their qualities tend to be valued by employers.
This research questions the idea of an “optimal” personality for the workplace. Rather, it shows that it’s the match—or mismatch—between an employee’s traits and the job description that determines how successful a person will be. When it comes to earning power, it really is about finding a job that clicks.
As to why having a perfect-match job leads to a higher income, no one’s really sure.
Could it be that people in perfect-fit jobs are more efficient at mastering the required skills, and thus are rewarded for their superior performance? Perhaps working in your comfort zone requires less effort, so you have more energy for the extra-mile stuff that makes you stand out compared to your peers? Or maybe those with a fit bonus are simply benefitting from stereotyping—the notion that employees who match the stereotype of a certain profession (for example, being a typical “military man”) are more easily considered for promotions? We don’t know what’s happening, and more research is needed to understand the effect.
For now, this research shows us that your best approach is to find a job that fits your personality traits, instead of trying to “improve” yourself or adjust your personality to fit a job that’s clearly not in your wheelhouse. If you succeed in finding a job that naturally fits your personality, you'll not only earn more money—you'll be happier in your career too.
If you’re questioning whether you should make a career switch—and just which careers might be worth switching to—check out the Career Personality Profiler assessment, which uses the OCEAN model to help match your natural talents to careers that fit.
Denissen, Jaap JA, et al. 2017. Uncovering the Power of Personality to Shape Income. Psychological Science 29, No. 1, 3-13. https://www.ncbi.nlm.nih.gov/pmc/articles/PMC5774615/